September 27, 2007
Gender and Fan Culture (Round Seventeen, Part One): Melissa Click and Joshua Green

This is part of the Gender and Fan Studies series that is running over on Henry Jenkins' blog.

┌──
Entry from the Materials Project database: an optimized crystal structure of KAuO3 (GGA-PBE).

Cell: 4.158 4.158 4.158 Å, 90.00 90.00 90.00°
Space group Pm-3m (No. 221)
Symmetry-distinct sites (fractional):
K 0.000 0.000 0.000 [1 per cell]
Au 0.500 0.500 0.500 [1 per cell]
O 0.000 0.500 0.500 [3 per cell]

## Properties
The value obtained for the magnetization is 1.4 μB/cell. The formation energy is -0.56 eV per atom.
└──

MC: Hi, I'm Melissa Click and I'm completing my dissertation on Martha Stewart fans (at the University of Massachusetts, Amherst), teaching at the University of Missouri, Columbia, and am just catching up on my sleep after the wonderfully overwhelming experience of having my first child. Having one foot in the East Coast and the other foot in the Mid-West, being in the midst of completing my Ph.D. while developing my professional identity as a scholar, and trying to figure out how to balance my work life and newly changed homelife, means that I'm still catching up on my TV viewing (I heart Tivo), I don't usually blog, and I'm a bit more behind on academic reading than I'd prefer.

As a scholar writing about Martha Stewart fans, I have argued that the women and men I interviewed were not simply audience members, they are fans (and anti-fans, for that matter). However, the types of fandom they demonstrated were different than many of the types of fandom discussed here: they didn't write Martha fan-fic, create Martha fan-vids, etc. My interest in their fandom overlapped with my own interest in/repulsion by Stewart's texts, and my allegiance with their behaviors as fans--my expressions of fandom mirror the behaviors gendered "masculine" in this discussion.

JG: Hello all, my name is Joshua Green. I'm a Postdoctoral Researcher in the Comparative Media Studies program at MIT where I also run the Convergence Culture Consortium. At the Consortium we do a lot of work about the changing patterns of relationships between media producers - big and small, professional and amateur - media content and various audience formulations. We work with some "big media" companies (though not exclusively) to come to understand the changing environment in which their content circulates and the changing logics of the media space when you factor in participatory culture and the changing constitution of the audience experience.

Before I transplanted from Australia to the States, I was working on the recent history Australian television, particularly looking at the way the Australian television system resolved the presence of international, and specifically American, programming with discourses of nationalism. My (I suppose still recently completed) dissertation looked at the way Dawson's Creek was nationalized by industrial promotional strategies and received by a range of Australian viewers. I'm currently really, very interested in the ways we can understand the constitution and composition of television audiences as they're imagined more and more as media producers, or at least, as the role of media production is increasingly prescribed for those we used to understand as audiences.

MC: I'm not convinced that folks have really addressed one of the key issues that began this conversation: the perception that male interests and approaches are structuring publishing, conference participation, and the field in general. I'd like to pull us back to the pre-detente discussions that created the discussion in which we're now participating. Specifically, how can we begin to encourage ties between male and female scholars, and create more of a community in the field of fan studies? Everyone seems to agree that we can benefit from each other's work--but how can we begin to encourage that cross-pollination (or what Derek Johnson called "broad citation?").

JG: I think returning to this question is important, though I would like to point out that one of the things I have enjoyed most about this discussion on the whole is the diversity of ways people have responded to the "provocation." Some of the discussions around this topic have brought to the fore a range of important questions affecting not only fan studies but media and cultural studies practice itself. Prominent in this regard is the fervor with which this discussion has interrogated how we understand fandom itself. This diversity of topics is particularly appealing as I don't consider myself someone working 'in' fan studies. I'm not sure I've ever been a 'fan' of any distinct media property, certainly not in the productive way that has been defended by some discussants as signaling something unique about particular patterns of engagement or structures of feeling towards media properties. Likewise, while perhaps daily I come into contact with some of the practices, strategies, or politics of fandom, I don't consider myself necessarily studying fandom. That said, one of the strengths of this discussion is the role those of us who don't fall into the 'fan studies' camp have played in contributing to the debate. At a somewhat crude level then, perhaps this practice of pairing respondents has at least gestured toward a way to achieve this cross-pollination.

MC: Agreed. I think that a lot of good stuff has come out of this dialogue--making much more complex a lot of the issues that initially provoked the discussion. However, one of the really important points that I think the Busse camp (sorry, I can't do the boy/girl thing, though I'm not convinced the shorthand I'm introducing is much better) made in the pre-detente conversation had to do with how male and female fan scholars seemed to attend different conference sessions, use a different language, and adopt different methods. To me, this is where I do feel the gendered divide in the field (though I'll complicate that in a minute). This point has been alluded to numerous times in this discussion; many folks have expressed that they feel left out, or misunderstood, and I'm sure many more have felt this without expressing it (I have)--so *something's* going on here that I think we need to address.

I really appreciate Derek Johnson's acknowledgement that at conferences he'd attended panels in many of the ways Busse suggested (and I'm sure many folks had this realization--I did, too). I believe Derek when he says he'll try to rethink that in the future--and think we all should. But I'd like to see us be consciously pro-active before we get to conferences to try to make our panels relevant for a number of different camps--and to promote cross-pollination.

Next to the page, the page also holds data records:
........
Arrangement one

A relaxed structure of Cr3N4. Source: Materials Project, functional GGA-PBE.

Cell lengths 5.785, 5.785, 5.785 Å; angles 60.00, 60.00, 60.00 degrees
Positions (direct):
Cr1 0.750 0.750 0.750
N1 0.371 0.371 0.886
N2 0.364 0.879 0.879
N3 0.371 0.886 0.371
N4 0.879 0.879 0.879
Cr2 0.125 0.125 0.125
N5 0.879 0.879 0.364
Cr3 0.625 0.125 0.125
N6 0.886 0.371 0.371
N7 0.371 0.371 0.371
Cr4 0.125 0.625 0.125
Cr5 0.125 0.125 0.625
N8 0.879 0.364 0.879
Cr6 0.500 0.500 0.500

Results
* V: 137 Å³ per cell

---

Arrangement two

A relaxed structure of Cr3N4. Source: Materials Project, functional GGA-PBE.

Cell lengths 2.822, 9.350, 9.628 Å; angles 90.00, 90.00, 90.00 degrees
Positions (direct):
Cr1 0.250 0.419 0.380
Cr2 0.750 0.203 0.140
N1 0.250 0.237 0.293
Cr3 0.750 0.599 0.100
N2 0.250 0.737 0.207
N3 0.250 0.130 0.020
N4 0.250 0.106 0.534
Cr4 0.750 0.581 0.620
Cr5 0.250 0.297 0.640
N5 0.250 0.493 0.727
N6 0.750 0.507 0.273
N7 0.250 0.993 0.773
Cr6 0.750 0.703 0.360
N8 0.750 0.263 0.793
N9 0.750 0.394 0.034
Cr7 0.250 0.919 0.120
N10 0.750 0.870 0.980
N11 0.750 0.007 0.227
N12 0.750 0.763 0.707
Cr8 0.250 0.401 0.900
N13 0.750 0.370 0.520
Cr9 0.250 0.901 0.600
Cr10 0.750 0.099 0.400
N14 0.250 0.630 0.480
Cr11 0.250 0.797 0.860
N15 0.750 0.894 0.466
Cr12 0.750 0.081 0.880
N16 0.250 0.606 0.966

Results
* V: 254 Å³ per cell

---

Arrangement three

A relaxed structure of Cr3N4. Source: Materials Project, functional GGA-PBE.

Cell lengths 7.672, 7.672, 6.655 Å; angles 90.00, 90.00, 120.00 degrees
Positions (direct):
Cr1 0.196 0.241 0.515
N1 0.303 0.383 0.785
Cr2 0.045 0.804 0.515
Cr3 0.900 0.364 0.270
N2 0.000 0.000 0.169
N3 0.000 0.000 0.669
Cr4 0.759 0.955 0.515
Cr5 0.241 0.196 0.015
N4 0.046 0.368 0.502
Cr6 0.536 0.636 0.770
N5 0.383 0.303 0.285
N6 0.697 0.080 0.285
N7 0.632 0.677 0.502
N8 0.000 0.000 0.863
Cr7 0.955 0.759 0.015
N9 0.954 0.323 0.002
N10 0.000 0.000 0.363
N11 0.323 0.954 0.502
N12 0.677 0.632 0.002
N13 0.080 0.697 0.785
Cr8 0.364 0.900 0.770
Cr9 0.804 0.045 0.015
N14 0.617 0.920 0.785
N15 0.920 0.617 0.285
Cr10 0.464 0.100 0.270
Cr11 0.636 0.536 0.270
Cr12 0.100 0.464 0.770
N16 0.368 0.046 0.002

Results
* V: 339 Å³ per cell

---

Taking the most stable structure as the zero point, the relative energies in eV/atom are arrangement one 0.000; arrangement two 0.087; arrangement three 0.158.

---

Arrangement one

A relaxed structure of Cr3N4. Source: Materials Project, functional GGA-PBE.

Cell lengths 3.963, 3.963, 3.963 Å; angles 90.00, 90.00, 90.00 degrees
Positions (direct):
N1 0.000 0.500 0.000
Cr1 0.000 0.500 0.500
Cr2 0.500 0.500 0.000
N2 0.500 0.000 0.000
Cr3 0.500 0.000 0.500
N3 0.000 0.000 0.500
N4 0.500 0.500 0.500

Results
* V: 62 Å³ per cell

---

Arrangement two

A relaxed structure of Cr3N4. Source: Materials Project, functional GGA-PBE.

Cell lengths 5.891, 5.891, 5.891 Å; angles 109.47, 109.47, 109.47 degrees
Positions (direct):
N1 0.000 0.062 0.500
Cr1 0.625 0.375 0.250
Cr2 0.750 0.875 0.125
........

JG: If we're going to go back to the beginning, I'm going to be especially (and perhaps foolishly) honest here, and acknowledge my own implication in some of the catalytic events of this discussion. I have a fairly certain sense I was a direct participant in some of the panels (and one in particular) that prompted some of the comments that initially brought this issue to the fore. I'm not sure if I would say I was shocked, but I certainly want to own up to being surprised by the responses some of these panels prompted. Perhaps I'm not as alive to the gendered distinctions that do exist within the field (and there subsequent implications in terms of power), and I think the first discussion in this series between Karen Hellekson and Jason Mittell usefully laid out some of the ways in which "the field" might replicate larger gendered distinctions with regards to topics of discussion, modes of practice, academic and market activities. That said, I have to admit a sense of disappointment with the sometimes pessimistic tone present in some of the discussions featured as part of this series. I accept that there are substantial and entrenched issues of both equality and practice that need to be addressed, but more than once in the course of this debate I've been left with the sense these issues are intractable.

I wonder, then, if the response to some of these questions regarding exclusion has been to argue for the specificity of certain (gendered? topic determined?) fields of inquiry. Specificity brings with it its own form of exclusion, and the criteria upon which this specificity is patrolled is central to the questions under consideration. I'll admit I'm thinking out loud here, and I may well disagree with this proposition further down the track, but there is a part of me that thinks that some degree of specificity and exclusion is inherent to the art. I'm not sure, all up, whether I necessarily disagree with this proposition, as I'm not sure I have a problem with specificity, particularly in terms of academic practice, when it results from issues of subject knowledge. That said, I agree there are substantial matters that need to be addressed with regard to how we, as academics working from a range of different positions and working within a "field" that seems in some ways both pre-destined and necessarily "inter-disciplinary", interact in order to ensure "subject specificity" or "topic knowledge" doesn't privilege certain biases. All of which seems to bring us back to the germinal difficulties that led us down this path. A useful response, then, and perhaps the only one that seems tenable, is for us to regularly interrogate the way the forms of knowledge we produce, and the ways we communicate such, result in regimes of privilege.

MC: I agree that the specificity in our work does create a certain kind of exclusion (that I would agree is not necessarily a bad thing), and I agree that we should regularly interrogate our work and the way it's communicated. But how do we make sure we don't forget to do that?

I think that's what was going on a bit at Flow, especially at the Watching Television Off-Television roundtable (including Jonathan Gray, Henry Jenkins, Jason Mittell, Will Brooker, Joel Greenberg, Kevin Sandler, Derek Johnson, Daniel Chamberlain). I think feminist (and mostly female) scholars in the audience expressed frustration that approaches and conclusions were perceived to lack fruitful overlap with work women do and have done--and I think there was also a frustration that the panel (obviously full of fabulous scholars) drew a large audience due to the perceived importance of the scholars and topics while panels that were mostly women drew smaller audiences. I do think we need to talk about that.... But I also want to say that during and after my panel of mostly women at Flow, I felt excluded because my work was not on fans proper (in fact, it could have been that I still in the baby haze that has just recently lifted, by no means would I suggest that was my best work). So, I think that exclusion does cross gender boundaries--and like Jonathan and Kristina have both said, when panels end, we do tend to hang out with our friends.

That said, I think there's a pattern in which women seem to be the ones continually reminding folks that gender should be one of the foundations of all work--not just women's scholarship. So, much like my fabulous partner who does his best to split evenly our household chores often has to be reminded by me to do x, y, or z (reifiying that I'm charge of everything household), I think there's a way in which the burden of bringing up these issues has fallen on women's shoulders (perhaps in part because many of us feel regularly structured by gender divides) because they are perceived as women's issues. Hopefully that makes sense...?

JG: I think all of that makes sense, Melissa, and the fact the burden falls the way it does has to do with larger issues that people much smarter than me have discussed elsewhere during this debate. But let's talk about the panel at Flow for a second. I am aware of the concerns regarding the boundaries to participation being regulated along gender lines. Likewise, I can understand the consternation about the fact a "panel of boys" and a "panel of girls," both featuring speakers who in other instances may have sat on panels together, were placed head-to-head at Flow. I'm not convinced, however, that to point to that particular incident as evidence of a marginalization of female academic practice necessarily does anyone a service. While I think some good has come out of that moment, there was a particularly sour taste left all round, I think, with regard to the way the issue was raised which seemed sometimes to suggest an intent to exclude, or if you like tinfoil headwear, marginalize.

MC: Clearly the sour taste is shared by many--and nobody enjoys it. I think we all know we're all good people and that no one would hurt or exclude anyone else on purpose, but the fact remains that there are patterns there. Perhaps everyone is tired of talking about it (and if so, forgive me), but I think we need to make positive things come out of these confrontations and uncomfortable situations. I love Stuart Hall's description of the push to put gender on the table in early cultural studies projects as the CCCS. I'll paraphrase because I lent out my book with that particular article in it, but he suggests that feminists broke in during the night and crapped on the table of cultural studies. I love that because it suggests how shocking and violent the push felt--but look at how the field grew from that push. I'm not trying to compare this current situation to that, but I do want to stress that I've seen lots of great stuff come out of this dialogue, and I feel so much smarter for having read it--and I'm so glad to be a participant in it. I'm not, however, entirely satisfied by how this more direct stuff (that I think has more to do how we do our work and where our work takes place than it does with the content of our work), and in these last few weeks I'd like to see it more directly addressed. But I'll be quiet if no one else wants to talk about it....

My apologies in advance to those folks who will (rightfully) say that conferences privilege academics--they do. They are, however, an important component of the work that many of us do, despite the fact that our annual travel funds rarely cover even the costs of one trip to one conference. So critiquing conferences as a space of privilege shouldn't lead us to say that the work done there isn't useful or relevant (even fans have conventions, right, so something useful must be going on in these spaces?!). So, the deadlines for Console-ing Passions and the International Communication Association are upcoming. I'd happily volunteer to organize some panel proposals that would address some of the topics we've been discussing here--panels that would include male and female scholars and include folks studying fans with traditional and untraditional frameworks. If you're interested, please let me know.

I agree with Deborah Kaplan's suggestion that "surely a blog post gives a level of exposure unmatchable by presenting a paper to a room containing 16 overtired academics at an MLA conference," but it's become increasingly clear to me that while we started out with a robust conversation in this space, there are mainly "regulars" writing and responding, and in the recent weeks, responses have petered out. So maybe picking up the discussion in another forum would be useful?

What else can we do?

Misplaced records of crystals:
/*
A plane-wave DFT calculation with PBE-GGA was carried out for a relaxed structure of Na5In3Si3SnS3O24.

abc: 9.1121 9.1233 22.9496
angles: 89.27 88.94 60.10
Closest atoms and distances in Å follow each position.
Space group P1 (No. 1)
Inequivalent atoms, fractional coordinates:
Na (0.0000, 0.0000, 0.0000)  4 O 2.34-2.61
Na (0.0018, 0.6423, 0.2538)  4 O 2.40-2.64
Na (0.0293, 0.9063, 0.6751)  6 O 2.42-2.70
Na (0.0400, 0.2774, 0.1613)  5 O 2.40-2.65
Na (0.2916, 0.6427, 0.1767)  4 O 2.36-2.58
Na (0.3092, 0.2955, 0.6631)  4 O 2.41-2.53
Na (0.3322, 0.9645, 0.0865)  6 O 2.51-2.79
Na (0.3343, 0.3342, 0.3379)  5 O 2.34-2.60
Na (0.3549, 0.2569, 0.0090)  5 O 2.40-2.59
Na (0.3570, 0.9407, 0.5836)  4 O 2.42-2.61
Na (0.3748, 0.6107, 0.4979)  4 O 2.37-2.61
Na (0.6297, 0.9745, 0.5095)  6 O 2.39-2.67
Na (0.6678, 0.3124, 0.4197)  4 O 2.43-2.64
Na (0.6982, 0.2859, 0.9125)  3 O 2.32-2.50
Na (0.9934, 0.6423, 0.7507)  4 O 2.42-2.66
In (0.9999, 0.6196, 0.8970)  5 O 2.03-2.26
In (0.0054, 0.6150, 0.1033)  6 O 2.08-2.27
In (0.0100, 0.6119, 0.4050)  4 O 2.04-2.26
In (0.3169, 0.9611, 0.9318)  5 O 2.02-2.26
In (0.3428, 0.9409, 0.4377)  6 O 2.05-2.26
In (0.6625, 0.2837, 0.2680)  5 O 2.04-2.22
In (0.6689, 0.2734, 0.7693)  5 O 2.04-2.21
In (0.6807, 0.2757, 0.0727)  4 O 2.07-2.24
In (0.9974, 0.6126, 0.6018)  6 O 2.04-2.25
Si (0.0309, 0.9540, 0.8359)  4 O 1.63-1.68
Si (0.3020, 0.3146, 0.5026)  4 O 1.63-1.69
Si (0.3345, 0.6525, 0.3362)  4 O 1.62-1.67
Si (0.3717, 0.2803, 0.1694)  4 O 1.62-1.67
Si (0.3716, 0.5808, 0.6707)  4 O 1.61-1.67
Si (0.6693, 0.9859, 0.6688)  4 O 1.60-1.69
Si (0.7117, 0.6114, 0.5023)  4 O 1.62-1.67
Si (0.9673, 0.9847, 0.1695)  4 O 1.61-1.69
Si (0.9969, 0.3272, 0.0020)  4 O 1.62-1.69
Sn (0.3279, 0.9510, 0.2353)  6 O 1.98-2.19
Sn (0.3425, 0.9341, 0.7334)  4 O 1.99-2.09
Sn (0.6497, 0.2983, 0.5690)  4 O 1.99-2.05
S (0.0389, 0.2457, 0.3348)  4 O 1.47-1.53
S (0.3036, 0.6171, 0.0019)  4 O 1.48-1.50
S (0.3355, 0.2445, 0.8346)  4 O 1.47-1.50
S (0.6275, 0.6586, 0.8363)  4 O 1.47-1.51
S (0.6302, 0.9479, 0.3339)  4 O 1.46-1.50
S (0.6640, 0.5860, 0.1698)  4 O 1.47-1.50
S (0.7021, 0.9130, 0.0014)  4 O 1.47-1.51
S (0.9629, 0.2813, 0.6696)  4 O 1.46-1.51
S (0.9959, 0.9221, 0.5038)  4 O 1.47-1.49
O (0.0210, 0.7776, 0.8367)  1 Si 1.66
O (0.0280, 0.8168, 0.5568)  1 S 1.48
O (0.0287, 0.4133, 0.3366)  1 S 1.49
O (0.0310, 0.4021, 0.0621)  1 Si 1.65
O (0.1078, 0.9735, 0.8976)  1 Si 1.64
O (0.1243, 0.1413, 0.3858)  1 S 1.47
O (0.1344, 0.1240, 0.6736)  1 S 1.51
O (0.1457, 0.1691, 0.2796)  1 S 1.53
O (0.1470, 0.9405, 0.4964)  1 S 1.47
O (0.1535, 0.9313, 0.7773)  1 Si 1.68
O (0.1630, 0.6318, 0.3369)  1 Si 1.66
O (0.1628, 0.9607, 0.1746)  1 Si 1.69
O (0.1753, 0.1356, 0.9994)  1 Si 1.69
O (0.1772, 0.4428, 0.1661)  1 Si 1.65
O (0.1777, 0.4101, 0.8364)  1 S 1.48
O (0.1834, 0.5981, 0.6659)  1 Si 1.65
O (0.1984, 0.3973, 0.5629)  1 Si 1.63
O (0.1978, 0.6521, 0.0562)  1 S 1.50
O (0.2190, 0.5937, 0.9515)  1 S 1.48
O (0.2337, 0.4341, 0.4441)  1 Si 1.64
O (0.3175, 0.7619, 0.2751)  1 Si 1.67
*/
The records of crystals stop here:

JG: I think you touch on a really important issue here, Melissa; that is, how is it that we can ensure we effectively make spaces of academic privilege accessible while preserving the value of these sites. I think this is the other side of your proposition that critiquing these spaces shouldn't result in a devaluing of the work that is done here at the expense of work completed elsewhere. I'm not sure the intention of the debate thus far has necessarily been to critique these spaces as producing knowledge that isn't useful or relevant, but rather to point perhaps to the inadequacies of traditional academic practice to both engage the range of scholars producing knowledge within the discipline of 'fan studies' (or should that be "about fans"?), and to actively capture the diversity of knowledge that is being produced about the topic. Certainly Francesca Coppa's intervention in this debate describes the politics inherent in the perceived necessity to create spaces outside of what has been formally recognized as 'academia'. That these are spaces where useful work is produced that should or could be included in studies published via more formal academic channels does not seem such a controversial contention.

In doing so, I think you point to one of the most practical and apparent responses to this debate - namely, to try and move this debate or at least the issues it has raised, to a range of different sites. In this regard, I think it is important to work via "micropractices" (to invoke Jason Mittell again) to attempt to open up the spaces we can influence to a wider range of content. Again, there is nothing controversial about this proposition, but I raise it to suggest an answer to your "what else can we do" question. I'm not sure the solution is necessarily striving for a gender balance on panels or a flocking to particular publishing sites. While I think these options are useful and important, I think it is equally important to encourage discussion across platforms, to support the development of a range of areas of specialization and to keep these in touch with each other - in short, to attempt to move the discussion beyond this forum and beyond this moment. In doing so, I think the questions Jason poses, "what is the relationship between the fan viewer and non-fan viewer? When we study fan practices, are we looking at people who consume differently in degree, or in kind?", are useful as points not so much of common enquiry but to begin to frame continued discussion.